Our ground breaking research has never been so critical during the Covid-19 pandemic.
Amongst other things, we’re helping to detect the virus, support people suffering from the effects of lockdown and understand how we could be better prepared if there was another pandemic. Here are five things our researchers have done to help prevent the spread of Covid-19.
1) Dogs join fight against Covid-19
We’ve been working with the charity Medical Detection Dogs and the London School of Hygiene & Tropical Medicine (LSHTM) to see if specially-trained dogs could detect Covid.
Previous research by Medical Detection Dogs has shown that our four legged friends can sniff out the scent of malaria, so now they are being trained to detect the virus by smelling face masks, socks and t-shirts that volunteers have worn for 12 hours.
If the trial is successful, the specially-trained dogs could be stationed in public places, such as airports in the UK, to help rapidly screen people travelling from abroad, with the potential of screening of up to 250 people per hour.
2) Working in partnership
Partnerships are important because they help us make a difference through our research expertise.
One of our longest partnerships is with global technology company IBM, spanning seven years. During the pandemic IBM’s support has been vital to researchers in our Mathematical Sciences and Sociology departments, whose research has helped regional health services respond to Covid-19.
The research involved sharing a data report with local NHS and councils to help regional health services respond to Covid-19.
IBM created a dashboard for the data and hosted it on their cloud storage system, which enabled the data to be accessed and shared safely and securely to support the planning of health and social care services. Local resilience forums also accessed the data for planning and responding to major incidents.
3) Grief during Covid-19
The Covid-19 pandemic has brought massive changes to how we say goodbye to our loved ones, so researchers from our Centre for Death and Life Studies put together an online hub of resources to help bereaved people and those working in funeral or memorial professions.
The hub provides links to advice on grief and bereavement and online memorial services, Covid-19 Government statistics, and essays and media interviews on the effects of the pandemic on grief and funeral rituals.
People can also take part in a worldwide research project to help understand how the virus has changed the way people have paid their last respects, and how the people in the UK will engage with more shared, large-scale, forms of remembering and remembrance beyond the pandemic.
4) Rationing in future pandemics
A pioneering research forecast model by our Business School found that rationing could be an effective measure for governments to introduce during ongoing and future pandemics.
Using existing data and forecasting models, our researchers were able to predict the growth of Covid-19 cases and the disruptions any increases would cause across supply chains in the USA, India, UK, Germany, and Singapore.
Their findings confirmed an excess demand for groceries and electronics during pandemics, and showed that the earlier a lockdown is imposed, the higher the excess demand will be.
For example, when cases of the virus grew and lockdown was imposed back in March, consumer behaviour changed with panic buying and overstocking in households which put a huge strain on supply chains.
The forecast model recommends that governments would need to secure higher volumes of key products before the lockdown and, when this is not possible, seriously consider more radical interventions such as rationing.
5) Responding to the domestic abuse crisis
• Crystal structures, kept here for reference:
[1]
# TlFeAu2

TlFeAu2 after structural relaxation (PBE, Alexandria).

The structure in POSCAR format:
```
TlFeAu2
1.0
3.712 0.000 0.000
0.000 3.019 0.129
0.000 2.826 6.886
Tl Au Fe
1 2 1
direct
0.500 0.761 0.736
0.500 0.226 0.275
0.000 0.980 0.029
0.000 0.533 0.461
```

Energy = -4.066 eV/atom
Space group = No. 6
Calculated formation energy = 0.280 eV per atom



[2]
# TlFe2Au2

TlFe2Au2 after structural relaxation (PBE, Alexandria).

The structure in POSCAR format:
```
TlFe2Au2
1.0
-6.834 -0.621 3.660
-3.553 -1.124 -6.826
0.409 -2.921 0.268
Au Fe Tl
4 4 2
direct
0.822 0.322 0.500
0.178 0.678 0.500
0.678 0.822 0.500
0.322 0.178 0.500
0.610 0.110 0.000
0.390 0.890 0.000
0.110 0.390 0.000
0.890 0.610 0.000
0.500 0.500 0.000
0.000 0.000 0.000
```

Energy = -4.879 eV/atom
Space group = No. 127
Calculated formation energy = 0.290 eV per atom
• The text goes on:
Our sociology researchers are working with the University of London to track the impact of Covid-19 on domestic abuse.
The number of domestic abuse victims contacting support organisations in England doubled within the first three weeks of lockdown, but police forces believe a large number of victims were not reporting their abuse due to lockdown restrictions and social distancing measures.
As part of the study, researchers are analysing changes in the nature and extent of domestic abuse reported to the police and police interventions, and interviewed police officers to understand their response to domestic abuse incidents.
The study is the largest and most rigorous analysis of police case file data conducted anywhere in the world to date and directly addresses current knowledge gaps in how lockdown and social distancing measures impact domestic abuse
The findings have the potential to help the UK Government weigh up the benefits of lockdown restrictions versus their impact on vulnerable people and provides robust evidence for domestic abuse strategies in the event of another pandemic or similar event.